## Input
<<<
The following is a PBE with a Hubbard U calculation of a geometry-optimized CaLaCr2O6 structure, from Materials Project.

a b c (Å): 5.4705 5.5382 9.4288
angles (deg): 90.00 125.44 90.00
Space group Pc (No. 7)
Symmetry-distinct sites (fractional):
Ca  0.0000  0.2076  0.0000
La  0.4809  0.2823  0.4991
Cr  0.2393  0.2496  0.7499
Cr  0.7378  0.2502  0.2486
O  0.0648  0.0317  0.2880
O  0.4040  0.4648  0.2080
O  0.4793  0.0362  0.7110
O  0.5641  0.2675  0.9936
O  0.9222  0.2292  0.5047
O  0.9980  0.4582  0.7913

Calculated values
Final energy: -153.75 eV for the cell shown
Magnetic moment: 0.0 μB per cell

=====

The following is a PBE with a Hubbard U calculation of a geometry-optimized Li3Co2O5 structure, from Materials Project.

a b c (Å): 2.9371 5.9296 10.4221
angles (deg): 97.16 97.05 93.13
Space group P-1 (No. 2)
Symmetry-distinct sites (fractional):
Li  0.0000  0.0000  0.0000
Li  0.0000  0.5000  0.0000
Li  0.1969  0.0978  0.3960
Li  0.4043  0.7082  0.8069
Co  0.1928  0.5973  0.3958
Co  0.4060  0.1958  0.8117
O  0.0702  0.0304  0.2003
O  0.1247  0.5680  0.2014
O  0.2902  0.6340  0.5965
O  0.3178  0.1686  0.6141
O  0.4903  0.2470  0.9823

Calculated values
Magnetic moment: 2.0 μB per cell
Polymorph energy (0 for the lowest one): 65 meV/atom

=====

The following is a PBE with a Hubbard U calculation of a geometry-optimized Mg6FeCoO8 structure, from Materials Project.

a b c (Å): 4.2586 4.2586 8.6056
angles (deg): 90.00 90.00 90.00
Space group P4/mmm (No. 123)
Symmetry-distinct sites (fractional):
Mg  0.0000  0.0000  0.0000
Mg  0.0000  0.5000  0.2501
Mg  0.5000  0.5000  0.0000
Fe  0.0000  0.0000  0.5000
Co  0.5000  0.5000  0.5000
O  0.0000  0.0000  0.2509
O  0.0000  0.5000  0.0000
O  0.0000  0.5000  0.5000
O  0.5000  0.5000  0.2427

Calculated values
Magnetic moment: 7.0 μB per cell
Polymorph energy (0 for the lowest one): 0 meV/atom

=====

The following is a PBE with a Hubbard U calculation of a geometry-optimized Ba4Sr2Dy2Co4O15 structure, from Materials Project.

a b c (Å): 11.7255 20.2525 6.8615
angles (deg): 90.00 90.84 90.00
Space group Cc (No. 9)
Symmetry-distinct sites (fractional):
Ba  0.0000  0.0857  0.0000
Ba  0.0194  0.4139  0.4919
Ba  0.2568  0.1743  0.4981
Ba  0.2590  0.3349  0.8199
Sr  0.0464  0.2626  0.1599
Sr  0.2603  0.9999  0.3101
Dy  0.2581  0.4773  0.1674
Dy  0.4741  0.2614  0.1570
Co  0.0223  0.4106  0.9805
Co  0.2566  0.1762  0.9875
Co  0.2594  0.3346  0.3600
Co  0.4943  0.4134  0.9945
O  0.0249  0.1670  0.3803
O  0.1225  0.1962  0.8423
O  0.1234  0.0425  0.5653
O  0.1287  0.4693  0.8581
O  0.1337  0.2926  0.5040
O  0.1396  0.3814  0.1626
O  0.2553  0.0907  0.0700
O  0.2586  0.4204  0.4984
O  0.2673  0.2489  0.1623
O  0.3831  0.2934  0.4808
O  0.3846  0.3802  0.1689
O  0.3905  0.4707  0.8632
O  0.3941  0.1981  0.8723
O  0.4000  0.0451  0.5717
O  0.4894  0.1651  0.3430

Calculated values
Final energy: -704.61 eV for the cell shown
Magnetic moment: 48.0 μB per cell

=====

The following is a PBE with a Hubbard U calculation of a geometry-optimized PrMnGeO5 structure, from Materials Project.

a b c (Å): 5.7269 5.7975 7.0471
angles (deg): 106.29 99.32 107.21
Space group P-1 (No. 2)
Symmetry-distinct sites (fractional):
Pr  0.1498  0.3116  0.2794
Mn  0.5000  0.0000  0.0000
Mn  0.5000  0.0000  0.5000
Ge  0.1961  0.3362  0.7665
O  0.0763  0.7413  0.4397
O  0.1757  0.1310  0.9101
O  0.2293  0.6480  0.9236
O  0.4348  0.0860  0.2619
O  0.4378  0.3310  0.6337

Calculated values
Final energy: -119.24 eV for the cell shown
Magnetic moment: 8.0 μB per cell

=====

The following is a PBE with a Hubbard U calculation of a geometry-optimized Li7Mn5O12 structure, from Materials Project.

a b c (Å): 5.0917 5.2443 8.7305
angles (deg): 75.29 85.95 78.06
Space group P-1 (No. 2)
Symmetry-distinct sites (fractional):
Li  0.0000  0.0000  0.0000
Li  0.2361  0.4047  0.0825
Li  0.2395  0.7460  0.7584
Li  0.2470  0.0737  0.4162
Mn  0.0016  0.6828  0.3250
Mn  0.4986  0.8500  0.1616
Mn  0.5000  0.5000  0.5000
>>>
## Request
Say how many lines of the entries further above hold the word "Mn", as a bare number, please.
## Done
5